Contents
┌──
[1]
This entry pairs a crystal structure of ReBi2W with its simulated powder X-ray diffraction pattern. Radiation: Cu Kα. Structure: DFT lattice parameters and positions (PBE).

Structural model:
Cell: 6.8375 6.8375 6.8375 Å, 90.00 90.00 90.00°
Space group Fm-3m (No. 225)
Inequivalent atoms, fractional coordinates:
Re 0.0000 0.0000 0.0000 (multiplicity 4)
Bi 0.2500 0.2500 0.2500 (multiplicity 8)
W 0.0000 0.0000 0.5000 (multiplicity 4)

Principal peaks in the range 15° ≤ 2θ ≤ 90°, most intense first:
- 37.2 deg, 2.417 Å, intensity 100, (2 2 0)
- 67.1 deg, 1.396 Å, intensity 37, (4 2 2)
- 53.6 deg, 1.709 Å, intensity 18, (4 0 0)
- 79.3 deg, 1.209 Å, intensity 12, (4 4 0)

---

[2]
This entry pairs a crystal structure of Dy3TeAu with its simulated powder X-ray diffraction pattern. Radiation: Cu Kα. Structure: DFT lattice parameters and positions (PBE).

Structural model:
Cell: 11.9059 3.9489 11.9631 Å, 90.00 90.00 90.00°
Space group Pnma (No. 62)
Inequivalent atoms, fractional coordinates:
Dy 0.0474 0.2500 0.1254 (multiplicity 4)
Dy 0.1528 0.7500 0.5557 (multiplicity 4)
Dy 0.2247 0.2500 0.7926 (multiplicity 4)
Te 0.0152 0.7500 0.3298 (multiplicity 4)
Au 0.1778 0.7500 0.9877 (multiplicity 4)

Principal peaks in the range 15° ≤ 2θ ≤ 90°, most intense first:
- 31.0 deg, 2.885 Å, intensity 100, (2 1 2)
- 33.6 deg, 2.669 Å, intensity 75, (2 0 4)
- 40.8 deg, 2.210 Å, intensity 70, (4 1 2)
- 31.9 deg, 2.806 Å, intensity 61, (0 1 3)
- 32.8 deg, 2.730 Å, intensity 61, (1 1 3)
- 35.4 deg, 2.536 Å, intensity 54, (3 1 2)
- 28.1 deg, 3.175 Å, intensity 50, (1 1 2)
- 46.0 deg, 1.974 Å, intensity 42, (0 2 0)
- 58.1 deg, 1.587 Å, intensity 32, (2 2 4)
- 44.2 deg, 2.049 Å, intensity 30, (3 0 5)

---

[3]
This entry pairs a crystal structure of Tl4Hg2Bi3 with its simulated powder X-ray diffraction pattern. Radiation: Cu Kα. Structure: DFT lattice parameters and positions (PBE).

Structural model:
Cell: 5.4440 5.4890 10.7341 Å, 88.53 89.38 60.77°
Space group P-1 (No. 2)
Inequivalent atoms, fractional coordinates:
Tl 0.0002 0.0005 0.1766 (multiplicity 2)
Tl 0.3332 0.3339 0.6179 (multiplicity 2)
Hg 0.3335 0.3331 0.2830 (multiplicity 2)
Bi 0.0000 0.0000 0.5000 (multiplicity 1)
Bi 0.3331 0.3326 0.9498 (multiplicity 2)

Principal peaks in the range 15° ≤ 2θ ≤ 90°, most intense first:
- 31.1 deg, 2.879 Å, intensity 100, (1 1 3)
- 31.3 deg, 2.860 Å, intensity 99, (1 0 -3)
- 31.6 deg, 2.834 Å, intensity 96, (0 1 -3)
- 32.4 deg, 2.765 Å, intensity 91, (1 -1 0)
- 32.6 deg, 2.743 Å, intensity 89, (1 2 0)
- 32.9 deg, 2.722 Å, intensity 88, (2 1 0)
- 56.9 deg, 1.618 Å, intensity 37, (2 3 3)
- 45.1 deg, 2.012 Å, intensity 37, (0 2 3)
- 57.5 deg, 1.604 Å, intensity 36, (3 2 3)
- 57.9 deg, 1.593 Å, intensity 36, (3 1 -3)

---

[4]
This entry pairs a crystal structure of TbTmScIn with its simulated powder X-ray diffraction pattern. Radiation: Cu Kα. Structure: DFT lattice parameters and positions (PBE).

Structural model:
Cell: 4.7077 4.7235 4.7428 Å, 90.00 90.00 90.00°
Space group Pmmm (No. 47)
Inequivalent atoms, fractional coordinates:
Tb 0.0000 0.0000 0.0000 (multiplicity 1)
Tm 0.0000 0.5000 0.5000 (multiplicity 1)
Sc 0.5000 0.5000 0.0000 (multiplicity 1)
In 0.5000 0.0000 0.5000 (multiplicity 1)

Principal peaks in the range 15° ≤ 2θ ≤ 90°, most intense first:
- 32.8 deg, 2.728 Å, intensity 100, (1 1 1)
- 37.9 deg, 2.371 Å, intensity 17, (0 0 2)
- 38.1 deg, 2.362 Å, intensity 17, (0 2 0)
- 38.2 deg, 2.354 Å, intensity 16, (2 0 0)
- 65.3 deg, 1.429 Å, intensity 13, (1 1 3)
- 65.5 deg, 1.424 Å, intensity 13, (1 3 1)
- 65.7 deg, 1.421 Å, intensity 13, (3 1 1)
- 68.8 deg, 1.364 Å, intensity 11, (2 2 2)
- 54.9 deg, 1.673 Å, intensity 11, (0 2 2)
- 55.0 deg, 1.671 Å, intensity 11, (2 0 2)

---

[5]
This entry pairs a crystal structure of Sr3AlCu2O6 with its simulated powder X-ray diffraction pattern. Radiation: Cu Kα. Structure: DFT lattice parameters and positions (PBE).

Structural model:
Cell: 5.6994 5.6994 6.2888 Å, 90.00 90.00 120.00°
└──

Job
Say how many lines of the material above hold the word "Fm-3m", as a bare number.

Done
1